Maria Andrea Nardi

How do local peoples’ natural environments matter for peacebuilding and human rights? Nature beyond natural resources
Summary, in English
In this popular science research-based article, I explore the multi-faceted roles of nature in fostering sustainable peace and human rights in Northern Uganda. I look into other roles that ‘nature’ might play beyond its conventional association with natural resources and biodiversity. In post-armed conflict settings, where addressing gross human rights violations and reconstructing the economy and state institutions are paramount, the natural environment is often perceived either as exploitable resources or as territorial space for facilitating the recovery process. However, I argue here that nature has many other values and roles for contributing to sustainable peace and human rights. Three key issues emerge when examining conflicts during peacetime and the healing and recovery processes of local communities after two decades of violence in Northern Uganda. Firstly, nature is valued as a semiotic system, conveying meanings and symbolism deeply ingrained in the cultural fabric of the region. The natural environment serves as a powerful medium through which communities communicate, express identity, and strengthen social cohesion. Secondly, nature assumes the role of ‘medicine for the soul’, providing therapeutic benefits for individuals and communities affected by conflict. The natural environment serves as a source of healing and resilience, facilitating the recovery of individuals and communities scarred by violence. Lastly, nature is valued as public space, offering a shared arena where social interactions, dialogue, and reconciliation can take place. The natural environment transcends its utilitarian value and becomes a platform for community engagement, fostering inclusivity, participation, and the restoration of trust among diverse groups. By exploring these multifaceted roles of nature in Northern Uganda, I seek to expand the narrative on sustainable peace and human rights.
- Raoul Wallenberg Institute of Human Rights and Humanitarian Law
== Misplaced data records ==
-- begin --
No. 1
16
Properties=species:S:1:pos:R:3 method="wB97M-V/def2-TZVPD" orbital_gap_ha="0.35602 / 0.28683" spin_multiplicity=2 s_squared=0.758 homo_energy_ev="-14.89 / -14.65" charge=+1 e_above_lowest_kj_mol=93.44 energy_ev=-11343.4155
N 0.901 -1.877 1.788
C 0.996 -1.572 0.475
O 1.832 -0.742 0.069
O 0.185 -2.016 -0.372
H 0.293 -2.663 1.984
H 1.801 -1.934 2.252
C -1.174 0.584 -0.841
C -1.351 0.569 -2.149
C 0.255 1.591 0.865
N -0.267 1.513 -0.290
H -1.618 -0.103 -0.148
H -0.831 1.281 -2.776
H -2.027 -0.153 -2.579
H 0.786 2.507 1.085
H 0.165 0.795 1.592
H 0.055 2.220 -0.954

=====

No. 2
17
Properties=species:S:1:pos:R:3 method="wB97M-V/def2-TZVPD" orbital_gap_ha=0.32253 homo_energy_ev=-8.30 charge=0 e_above_lowest_kj_mol=394.20 energy_ev=-13397.6026
C -0.699 -2.553 -0.464
C 0.333 0.438 0.066
C -0.684 0.056 -0.710
C 0.383 1.805 0.638
N 1.507 2.015 1.420
O -0.608 -1.420 -1.365
O 1.378 -0.451 0.338
O -1.757 0.429 -1.241
N -0.436 2.762 0.435
H 2.117 -0.232 -0.240
H -1.567 -0.995 -1.753
H 1.466 2.869 1.953
H 1.871 1.214 1.913
H -1.166 2.519 -0.228
H -0.807 -3.447 -1.076
H 0.223 -2.577 0.109
H -1.552 -2.432 0.206

=====

No. 3
19
Properties=species:S:1:pos:R:3 method="wB97M-V/def2-TZVPD" orbital_gap_ha=0.34094 homo_energy_ev=-8.74 charge=0 e_above_lowest_kj_mol=7.79 energy_ev=-35068.6087
C -0.722 -2.051 0.948
C -1.989 -1.043 -0.549
C -2.598 1.135 -0.238
C 1.936 1.627 0.012
N -1.376 -0.923 0.707
N -1.737 -2.112 -1.279
O 3.409 -0.104 0.939
O 1.931 -0.903 -1.022
O -2.678 -0.036 -0.998
S -0.788 -3.123 -0.483
S 2.854 0.123 -0.644
H -0.115 -2.195 1.879
H -1.549 1.487 -0.360
H -2.790 1.109 0.861
H -3.246 1.858 -0.811
H 1.025 1.234 0.505
H 2.579 2.336 0.453
H 1.716 2.181 -0.864
H 4.138 -0.597 0.943

=====

No. 4
16
Properties=species:S:1:pos:R:3 method="wB97M-V/def2-TZVPD" orbital_gap_ha=0.31761 homo_energy_ev=-7.96 charge=0 e_above_lowest_kj_mol=353.80 energy_ev=-20137.1675
C 2.937 1.579 0.697
C 1.760 1.539 0.085
N 0.808 0.525 0.142
S 1.238 -0.832 1.163
C -0.352 0.674 -0.587
N -1.408 -0.012 -0.765
O -1.462 -1.233 -0.083
C -2.696 -1.865 -0.398
H 3.331 0.817 1.354
H 3.615 2.430 0.551
H 1.497 2.362 -0.546
H 0.093 -1.475 0.930
H -0.327 1.616 -1.138
H -3.548 -1.250 -0.065
H -2.709 -2.822 0.127
H -2.778 -2.052 -1.470

=====

No. 5
16
Properties=species:S:1:pos:R:3 method="wB97M-V/def2-TZVPD" orbital_gap_ha=0.34913 homo_energy_ev=-9.20 charge=0 e_above_lowest_kj_mol=397.84 energy_ev=-20136.7111
C 1.389 -0.301 -0.034
C 0.182 0.802 -0.036
C -0.858 0.359 -0.948
C -0.760 0.116 1.086
H 1.626 -2.333 0.148
H -0.119 -1.770 -0.402
H 1.611 1.610 0.329
H -1.087 1.467 -1.206
H -0.556 -0.179 -1.884
H -2.699 0.010 0.004
H -1.332 0.844 1.727
H -0.286 -0.804 1.552
N 0.821 -1.564 -0.272
N -1.658 -0.421 0.005
O 0.689 2.038 -0.091
S 3.036 0.127 0.022

=====

No. 6
16
Properties=species:S:1:pos:R:3 method="wB97M-V/def2-TZVPD" orbital_gap_ha=0.35404 homo_energy_ev=-8.95 charge=0 e_above_lowest_kj_mol=247.77 energy_ev=-20138.2664
C -1.399 1.813 1.493
N -1.449 0.967 0.308
C -0.369 0.349 0.064
-- stop --
- Department of Human Geography
- MECW: The Middle East in the Contemporary World
Publishing year
Document type
Web publication
- Social Sciences Interdisciplinary
- Cultural Studies
- Northern Uganda
- Environmental peacebuilding
- Environmental human rights
- Valuation of nature
- Nature as public space
- Nature as semiotics
- The Nature of Peace – The dynamics between post-conflict peacebuilding and environmental protection